• Excerpt:
┌──
Compound: LiP3W2O13
Source: Materials Project
Functional: GGA+U
Structure: optimized geometry

The magnetic moment comes out at 0.105 μB/atom. The value obtained for the relative energy among the computed polymorphs is 0 meV per atom.

Lattice parameters (Å, degrees): 9.5989 19.2938 6.5094 90.00 106.75 90.00
Sites, in units of the cell vectors:
Li  0.1197  0.2239  0.4150
Li  0.1197  0.2761  0.9150
Li  0.8803  0.7239  0.0850
Li  0.8803  0.7761  0.5850
P  0.2009  0.0299  0.9889
P  0.2009  0.4701  0.4889
P  0.2030  0.5948  0.2320
P  0.2030  0.9052  0.7320
P  0.4758  0.6739  0.8439
P  0.4758  0.8261  0.3439
P  0.5242  0.1739  0.6561
P  0.5242  0.3261  0.1561
P  0.7970  0.0948  0.2680
P  0.7970  0.4052  0.7680
P  0.7991  0.5299  0.5111
P  0.7991  0.9701  0.0111
W  0.1139  0.6264  0.6866
W  0.1139  0.8736  0.1866
W  0.4308  0.1615  0.1182
W  0.4308  0.3385  0.6182
W  0.5692  0.6615  0.3818
W  0.5692  0.8385  0.8818
W  0.8861  0.1264  0.8134
W  0.8861  0.3736  0.3134
O  0.0490  0.7130  0.6769
O  0.0490  0.7870  0.1769
O  0.0939  0.0890  0.9079
O  0.0939  0.4110  0.4079
O  0.1160  0.6037  0.9959
O  0.1160  0.8963  0.4959
O  0.1168  0.6309  0.3674
O  0.1168  0.8691  0.8674
O  0.1602  0.5199  0.6432
O  0.1602  0.9801  0.1432
O  0.2012  0.5127  0.2751
O  0.2012  0.9873  0.7751
O  0.2701  0.2133  0.0529
O  0.2701  0.2867  0.5529
O  0.3311  0.6341  0.7894
O  0.3311  0.8659  0.2894
O  0.3521  0.0612  0.0848
O  0.3521  0.4388  0.5848
O  0.3621  0.6154  0.2859
O  0.3621  0.8846  0.7859
O  0.4287  0.1529  0.4307
O  0.4287  0.3471  0.9307
O  0.4360  0.1518  0.8092
O  0.4360  0.3482  0.3092
O  0.4385  0.7481  0.3275
O  0.4385  0.7519  0.8275
O  0.5615  0.2481  0.1725
O  0.5615  0.2519  0.6725
O  0.5640  0.6518  0.6908
O  0.5640  0.8482  0.1908
O  0.5713  0.6529  0.0693
O  0.5713  0.8471  0.5693
O  0.6379  0.1154  0.2141
O  0.6379  0.3846  0.7141
O  0.6479  0.5612  0.4152
O  0.6479  0.9388  0.9152
O  0.6689  0.1341  0.7106
O  0.6689  0.3659  0.2106
O  0.7299  0.7133  0.4471
O  0.7299  0.7867  0.9471
O  0.7988  0.0127  0.2249
O  0.7988  0.4873  0.7249
O  0.8398  0.0199  0.8568
O  0.8398  0.4801  0.3568
O  0.8832  0.1309  0.1326
O  0.8832  0.3691  0.6326
O  0.8840  0.1037  0.5041
O  0.8840  0.3963  0.0041
O  0.9061  0.5890  0.5921
O  0.9061  0.9110  0.0921
O  0.9510  0.2130  0.8231
O  0.9510  0.2870  0.3231

=====

Version A
VASP calculation (PBE+U) on an optimized crystal structure of Li3MnP2O8.

a b c (Å): 4.7273 5.0746 27.4519
angles (deg): 92.02 85.07 117.74
Positions (direct):
Li 0.6597 0.7505 0.4179
O 0.0452 0.3262 0.9579
P 0.3383 0.3751 0.6917
O 0.2255 0.3501 0.4297
O 0.2102 0.0110 0.2339
P 0.3484 0.1263 0.4416
O 0.4299 0.2353 0.0165
O 0.5704 0.7623 0.9838
Li 0.3415 0.2463 0.5820
P 0.3383 0.8752 0.1917
O 0.0451 0.8262 0.4579
O 0.3247 0.5746 0.2079
O 0.9554 0.1712 0.5423
Li 0.3249 0.9954 0.3318
Li 0.9846 0.3730 0.3750
O 0.9555 0.6713 0.0423
P 0.6617 0.1195 0.8082
Li 0.3415 0.7464 0.0820
O 0.3247 0.0745 0.7079
O 0.4298 0.7352 0.5165
O 0.6746 0.9199 0.2920
O 0.7761 0.6477 0.5705
P 0.3485 0.6264 0.9417
P 0.6616 0.6196 0.3082
O 0.4710 0.9362 0.6031
O 0.2102 0.5109 0.7339
O 0.5304 0.0611 0.3972
O 0.7892 0.4836 0.2660
Mn 0.0006 0.4991 0.5001
O 0.6746 0.4198 0.7920
O 0.6972 0.0983 0.1798
O 0.3030 0.3961 0.3203
Li 0.6756 0.0001 0.6684
Mn 0.9996 0.2472 0.2500
O 0.3030 0.8961 0.8203
P 0.6524 0.8711 0.5586
Li 0.3249 0.4954 0.8318
O 0.8647 0.6846 0.3526
Mn 0.0005 0.9991 0.0001
Li 0.0165 0.1233 0.1251
O 0.1360 0.3107 0.6472
O 0.8647 0.1847 0.8526
O 0.6973 0.5984 0.6798
Li 0.0165 0.6233 0.6251
O 0.2255 0.8502 0.9297
Li 0.6597 0.2506 0.9179
O 0.5703 0.2622 0.4838
O 0.7893 0.9836 0.7660
O 0.1360 0.8107 0.1472
O 0.5303 0.5611 0.8972
Li 0.9846 0.8730 0.8750
O 0.4710 0.4362 0.1031
Li 0.6756 0.5001 0.1684
O 0.7762 0.1477 0.0705
Mn 0.9996 0.7474 0.7500
P 0.6524 0.3711 0.0586

Total magnetization in μB per atom: 0.286
V in Å³/cell: 581
ρ in g cm⁻³: 3.04



Version B
VASP calculation (PBE+U) on an optimized crystal structure of Li3MnP2O8.
└──
• What to do:
Give back only the last part of the listing earlier on, starting with the line that has "The magnetic".
• Written answer:
The magnetic moment comes out at 0.105 μB/atom. The value obtained for the relative energy among the computed polymorphs is 0 meV per atom.

Lattice parameters (Å, degrees): 9.5989 19.2938 6.5094 90.00 106.75 90.00
Sites, in units of the cell vectors:
Li  0.1197  0.2239  0.4150
Li  0.1197  0.2761  0.9150
Li  0.8803  0.7239  0.0850
Li  0.8803  0.7761  0.5850
P  0.2009  0.0299  0.9889
P  0.2009  0.4701  0.4889
P  0.2030  0.5948  0.2320
P  0.2030  0.9052  0.7320
P  0.4758  0.6739  0.8439
P  0.4758  0.8261  0.3439
P  0.5242  0.1739  0.6561
P  0.5242  0.3261  0.1561
P  0.7970  0.0948  0.2680
P  0.7970  0.4052  0.7680
P  0.7991  0.5299  0.5111
P  0.7991  0.9701  0.0111
W  0.1139  0.6264  0.6866
W  0.1139  0.8736  0.1866
W  0.4308  0.1615  0.1182
W  0.4308  0.3385  0.6182
W  0.5692  0.6615  0.3818
W  0.5692  0.8385  0.8818
W  0.8861  0.1264  0.8134
W  0.8861  0.3736  0.3134
O  0.0490  0.7130  0.6769
O  0.0490  0.7870  0.1769
O  0.0939  0.0890  0.9079
O  0.0939  0.4110  0.4079
O  0.1160  0.6037  0.9959
O  0.1160  0.8963  0.4959
O  0.1168  0.6309  0.3674
O  0.1168  0.8691  0.8674
O  0.1602  0.5199  0.6432
O  0.1602  0.9801  0.1432
O  0.2012  0.5127  0.2751
O  0.2012  0.9873  0.7751
O  0.2701  0.2133  0.0529
O  0.2701  0.2867  0.5529
O  0.3311  0.6341  0.7894
O  0.3311  0.8659  0.2894
O  0.3521  0.0612  0.0848
O  0.3521  0.4388  0.5848
O  0.3621  0.6154  0.2859
O  0.3621  0.8846  0.7859
O  0.4287  0.1529  0.4307
O  0.4287  0.3471  0.9307
O  0.4360  0.1518  0.8092
O  0.4360  0.3482  0.3092
O  0.4385  0.7481  0.3275
O  0.4385  0.7519  0.8275
O  0.5615  0.2481  0.1725
O  0.5615  0.2519  0.6725
O  0.5640  0.6518  0.6908
O  0.5640  0.8482  0.1908
O  0.5713  0.6529  0.0693
O  0.5713  0.8471  0.5693
O  0.6379  0.1154  0.2141
O  0.6379  0.3846  0.7141
O  0.6479  0.5612  0.4152
O  0.6479  0.9388  0.9152
O  0.6689  0.1341  0.7106
O  0.6689  0.3659  0.2106
O  0.7299  0.7133  0.4471
O  0.7299  0.7867  0.9471
O  0.7988  0.0127  0.2249
O  0.7988  0.4873  0.7249
O  0.8398  0.0199  0.8568
O  0.8398  0.4801  0.3568
O  0.8832  0.1309  0.1326
O  0.8832  0.3691  0.6326
O  0.8840  0.1037  0.5041
O  0.8840  0.3963  0.0041
O  0.9061  0.5890  0.5921
O  0.9061  0.9110  0.0921
O  0.9510  0.2130  0.8231
O  0.9510  0.2870  0.3231

=====

Version A
VASP calculation (PBE+U) on an optimized crystal structure of Li3MnP2O8.

a b c (Å): 4.7273 5.0746 27.4519
angles (deg): 92.02 85.07 117.74
Positions (direct):
Li 0.6597 0.7505 0.4179
O 0.0452 0.3262 0.9579
P 0.3383 0.3751 0.6917
O 0.2255 0.3501 0.4297
O 0.2102 0.0110 0.2339
P 0.3484 0.1263 0.4416
O 0.4299 0.2353 0.0165
O 0.5704 0.7623 0.9838
Li 0.3415 0.2463 0.5820
P 0.3383 0.8752 0.1917
O 0.0451 0.8262 0.4579
O 0.3247 0.5746 0.2079
O 0.9554 0.1712 0.5423
Li 0.3249 0.9954 0.3318
Li 0.9846 0.3730 0.3750
O 0.9555 0.6713 0.0423
P 0.6617 0.1195 0.8082
Li 0.3415 0.7464 0.0820
O 0.3247 0.0745 0.7079
O 0.4298 0.7352 0.5165
O 0.6746 0.9199 0.2920
O 0.7761 0.6477 0.5705
P 0.3485 0.6264 0.9417
P 0.6616 0.6196 0.3082
O 0.4710 0.9362 0.6031
O 0.2102 0.5109 0.7339
O 0.5304 0.0611 0.3972
O 0.7892 0.4836 0.2660
Mn 0.0006 0.4991 0.5001
O 0.6746 0.4198 0.7920
O 0.6972 0.0983 0.1798
O 0.3030 0.3961 0.3203
Li 0.6756 0.0001 0.6684
Mn 0.9996 0.2472 0.2500
O 0.3030 0.8961 0.8203
P 0.6524 0.8711 0.5586
Li 0.3249 0.4954 0.8318
O 0.8647 0.6846 0.3526
Mn 0.0005 0.9991 0.0001
Li 0.0165 0.1233 0.1251
O 0.1360 0.3107 0.6472
O 0.8647 0.1847 0.8526
O 0.6973 0.5984 0.6798
Li 0.0165 0.6233 0.6251
O 0.2255 0.8502 0.9297
Li 0.6597 0.2506 0.9179
O 0.5703 0.2622 0.4838
O 0.7893 0.9836 0.7660
O 0.1360 0.8107 0.1472
O 0.5303 0.5611 0.8972
Li 0.9846 0.8730 0.8750
O 0.4710 0.4362 0.1031
Li 0.6756 0.5001 0.1684
O 0.7762 0.1477 0.0705
Mn 0.9996 0.7474 0.7500
P 0.6524 0.3711 0.0586

Total magnetization in μB per atom: 0.286
V in Å³/cell: 581
ρ in g cm⁻³: 3.04



Version B
VASP calculation (PBE+U) on an optimized crystal structure of Li3MnP2O8.